• Brief:
Filter the block further below: keep the lines with the word "lowest".
• Data:
+++
Computed, not measured: a relaxed structure of Ca2AlZn4Ag3 at the PBE-GGA level of DFT.

Lattice parameters (Å, degrees): 4.120 4.120 12.076 90.00 90.00 90.00
Space group P-4m2 (No. 115)
One atom of each set of equivalent atoms:
1 Ca 0.000 0.500 0.243 [2 per cell]
2 Al 0.500 0.500 0.000 [1 per cell]
3 Zn 0.000 0.000 0.500 [1 per cell]
4 Zn 0.000 0.500 0.859 [2 per cell]
5 Zn 0.500 0.500 0.500 [1 per cell]
6 Ag 0.000 0.000 0.000 [1 per cell]
7 Ag 0.000 0.500 0.644 [2 per cell]

## Properties
Formation energy from the elements (eV/atom): -0.20
N(E_F) (states/eV/cell): 5.571

=====

Computed, not measured: a relaxed structure of MgCuW2 at the PBE-GGA level of DFT.

Lattice parameters (Å, degrees): 3.190 4.237 9.313 90.00 90.00 90.00
Space group Immm (No. 71)
One atom of each set of equivalent atoms:
1 Mg 0.000 0.000 0.000 [2 per cell]
2 Cu 0.000 0.000 0.500 [2 per cell]
3 W 0.000 0.500 0.238 [4 per cell]

## Properties
Formation energy from the elements (eV/atom): 0.36
N(E_F) (states/eV/cell): 4.783

=====

Computed, not measured: a relaxed structure of PuH3Pd at the PBE-GGA level of DFT.

Lattice parameters (Å, degrees): 7.561 10.677 5.298 90.00 90.00 90.00
Space group Cmce (No. 64)
One atom of each set of equivalent atoms:
1 Pu 0.250 0.148 0.250 [8 per cell]
2 H 0.000 0.047 0.181 [8 per cell]
3 H 0.000 0.246 0.531 [8 per cell]
4 H 0.250 0.110 0.750 [8 per cell]
5 Pd 0.000 0.104 0.703 [8 per cell]

## Properties
N(E_F) (states/eV/cell): 77.181
Final energy (eV per cell): -247.013

=====

Computed, not measured: a relaxed structure of Sm4ZnNi3 at the PBE-GGA level of DFT.

Lattice parameters (Å, degrees): 3.815 4.387 10.596 90.00 90.00 90.00
Space group Pmm2 (No. 25)
One atom of each set of equivalent atoms:
1 Sm 0.000 0.000 0.000 [1 per cell]
2 Sm 0.000 0.500 0.265 [1 per cell]
3 Sm 0.500 0.000 0.478 [1 per cell]
4 Sm 0.500 0.500 0.773 [1 per cell]
5 Zn 0.000 0.000 0.696 [1 per cell]
6 Ni 0.000 0.500 0.562 [1 per cell]
7 Ni 0.500 0.000 0.202 [1 per cell]
8 Ni 0.500 0.500 0.063 [1 per cell]

## Properties
Formation energy from the elements (eV/atom): -0.34
N(E_F) (states/eV/cell): 6.510

=====

Computed, not measured: a relaxed structure of TlSiO3 at the PBE-GGA level of DFT.

Lattice parameters (Å, degrees): 6.990 4.738 8.147 90.00 115.05 90.00
Space group P2_1/c (No. 14)
One atom of each set of equivalent atoms:
1 Tl 0.119 0.204 0.141 [4 per cell]
2 Si 0.421 0.735 0.438 [4 per cell]
3 O 0.179 0.649 0.269 [4 per cell]
4 O 0.331 0.069 0.462 [4 per cell]
5 O 0.445 0.535 0.621 [4 per cell]

## Properties
Formation energy without anion corrections (meV per atom): -1706

=====

Computed, not measured: a relaxed structure of Hf2MgSc6 at the PBE-GGA level of DFT.

Lattice parameters (Å, degrees): 3.2448 3.2448 23.7770 90.00 90.00 120.00
Space group P-6m2 (No. 187)
One atom of each set of equivalent atoms:
1 Hf 0.0000 0.0000 0.1684 [2 per cell]
2 Mg 0.3333 0.6667 0.5000 [1 per cell]
3 Sc 0.0000 0.0000 0.3854 [2 per cell]
4 Sc 0.3333 0.6667 0.0643 [2 per cell]
5 Sc 0.3333 0.6667 0.2749 [2 per cell]

## Properties
Formation energy from the elements (eV/atom): 0.04
N(E_F) (states/eV/cell): 14.644
E above lowest polymorph (kcal/mol of atoms): 0.00


1.
First-principles (meta-GGA SCAN) data for a crystal of Y2BeAl relaxed with PBEsol, as listed in the Alexandria database.

Results
**Spin magnetization**: 0.00 μB/cell
**V**: 23.33 A^3/atom
**Formation energy**: 0.1015 eV per atom

a b c (Å): 3.5062 4.7524 6.1892
angles (deg): 102.23 90.00 111.65
Atoms (fractional coordinates):
Al (0.5000, 0.0000, 0.0000)
Be (0.0000, 0.0000, 0.5000)
Y (0.7432, 0.4863, 0.7339)
Y (0.2568, 0.5137, 0.2661)



2.
First-principles (meta-GGA SCAN) data for a crystal of YBeAl relaxed with PBEsol, as listed in the Alexandria database.

Results
**Spin magnetization**: 0.00 μB/cell
**V**: 19.10 A^3/atom
**Formation energy**: -0.2430 eV per atom

a b c (Å): 4.3273 4.3273 4.3273
angles (deg): 60.00 60.00 60.00
Atoms (fractional coordinates):
Y (0.0000, 0.0000, 0.0000)
+++
• Response:
E above lowest polymorph (kcal/mol of atoms): 0.00